FPM: The worst anti-Semitic hate crime of 2018 took place outside a restaurant in Cincinnati, Ohio.
Izmir Koch, an Ahiska Turkish migrant who had already been in trouble with the law, allegedly demanded to know if there were any Jews around. A man who been at the restaurant replied that he was Jewish. Izmir punched him in the head, and then kicked him while he lay on the ground.
The victim, who wasn’t actually Jewish, suffered bruised ribs and a fractured eye socket.
Now a federal grand jury has indicted Izmir for committing a hate crime. The violent assault was the single worst anti-Semitic hate crime of 2018. So far. And it’s generated very little interest from the same activists and media outlets who had been accusing the White House of not acting against anti-Semitism.
Izmir had already been facing two counts of felonious assault, one involving a deadly weapon, from 2016. He was found guilty a month after the Cincinnati assault, along with a number of comrades and family members. That assault had taken place outside their trucking company in Dayton, Ohio.
A former employee had come to collect the money that he was owed, and Izmir Koch, Baris Koch, Sevil Shakhmanov and Mustafa Shakhmanov allegedly assaulted him with crowbars, and possibly brass knuckles and a baseball bat. The victim, who apparently had a knife, fought back.
Izmir, Boris and Murad were Turkish Muslims from the former Soviet Union who had migrated to this country. A few years before that fight, the local media was talking up their “positive impact” on the community in Dayton. But it didn’t take long for the legal problems to begin. The benefits of bringing these Turkish Muslims to Dayton were quickly outweighed by the violence they had brought. more here
Deport them all! The whole savage
shit stain family.
Notice how this never makes the evening fucking news. Funny how it always works out that way. And, golly, isn’t it great that our fine leadership class saw fit to give this psychopathic raghead piece of shit a place in our society, where he clearly could only bring wonderful things and good cheer.
In may years in large companies, I’ve worked with all sorts of of nationalities, and my experience with Turks is as follows:
1. A lot of Turkish women are pretty damn hot.
2. I have yet to meet a Turkish male who wasn’t a complete fucking cunt.
What, the guy who got sucker-punched thought he was getting a prize for being a Jew? Dude.
A criminal mohammedan?!?!
Wait for it…
Deport the whole tribe.
Molecular data, kept here for reference.
=====
# 1
Density functional theory data (the ωB97M-V functional and the def2-TZVPD basis) for 7 unconnected molecules or ions with the total composition C23H60O7.

Atoms and positions in Å:
C  -0.909  -1.440  -1.275
H  1.357  2.856  -0.232
H  4.423  -1.089  0.537
H  -1.765  0.048  3.230
H  -3.557  2.095  -1.362
H  -1.443  -0.342  -7.280
H  5.386  -5.058  4.339
H  3.775  -2.622  -0.194
H  -0.094  -1.427  0.716
H  2.469  3.685  0.842
H  -3.082  2.934  0.150
H  0.573  -3.036  -1.280
O  -2.654  -0.797  5.604
H  4.597  -5.599  2.869
C  -3.707  -1.761  -6.713
C  -2.617  4.053  -1.650
H  2.831  -1.482  2.510
H  -2.008  -1.187  -4.059
H  -1.568  4.258  -3.348
C  -1.777  -1.697  7.644
H  -2.175  -0.887  8.255
C  2.921  -2.224  1.717
O  -2.023  3.581  -2.841
H  2.912  0.289  -4.307
H  -0.055  -2.682  -2.863
H  -2.718  1.102  4.218
H  1.283  -0.477  -4.034
C  -3.340  -0.972  4.394
H  2.069  2.421  -3.160
H  -4.407  -2.508  -6.341
H  -1.972  -2.659  -5.991
H  -1.821  0.389  -5.650
C  1.334  2.025  2.573
C  2.015  0.253  -3.688
C  -0.092  2.677  2.395
H  4.094  -3.135  4.096
H  6.191  -4.740  2.779
O  3.610  -3.415  2.112
H  3.661  3.012  -1.194
H  -1.958  5.514  -0.074
H  1.917  2.799  3.072
H  -0.553  -0.918  -5.931
O  -1.378  -0.473  -2.198
C  -2.788  0.239  3.556
H  -1.724  -2.152  -1.148
H  4.291  2.409  0.393
H  0.995  1.951  -4.451
C  -2.627  -1.999  6.448
C  0.263  -2.218  -1.929
H  1.917  -2.601  1.522
H  -0.663  0.167  -2.144
C  3.550  -1.724  0.383
H  -0.206  2.195  -2.582
H  1.192  1.043  3.025
C  1.369  1.647  -3.473
H  -3.348  -1.989  4.003
H  -0.816  4.323  -0.423
C  -1.522  -0.501  -6.204
H  2.720  -1.246  -0.137
H  -4.367  -0.898  -6.796
H  -3.486  4.638  -1.951
O  2.042  1.697  1.421
H  5.292  -2.568  3.074
H  1.210  -1.707  -2.106
H  -0.023  3.752  2.224
H  -1.313  -0.206  0.412
H  -1.755  -2.463  8.418
H  -4.389  -0.735  4.568
C  -2.821  2.747  -0.892
H  -2.255  -2.813  5.826
H  -3.652  -2.233  6.736
C  -2.451  -1.689  -5.854
O  -2.779  -1.551  -4.500
O  0.460  1.512  -2.472
H  -3.345  -2.012  -7.711
H  -1.922  2.133  -0.857
H  -0.969  5.440  -1.604
C  5.230  -4.817  3.287
H  -0.735  2.186  1.664
H  3.573  1.291  -0.667
H  -3.404  0.382  2.668
H  0.319  -0.033  -0.240
H  2.418  -0.057  -2.724
C  2.249  2.722  0.379
H  -0.698  2.673  3.301
C  -1.606  4.900  -0.904
H  -0.789  -1.385  7.305
C  3.503  2.333  -0.356
C  -0.482  -0.746  -0.041
C  4.595  -3.401  3.166

- SMILES string: CC(C)O.CC(C)O.CC(C)O.CCOCC.CCOCC.CCOCC.CCO
- Frontier orbital gap: 0.359 Ha
- Charge: 0
- HOMO energy: -9.231 eV
- Energy: -39153.0164 eV

---

# 2
Density functional theory data (the ωB97M-V functional and the def2-TZVPD basis) for a molecular structure, C23H61CuO22S7.

Atoms and positions in Å:
H  -3.124  -0.674  -6.353
H  5.892  -4.364  -7.053
H  -1.063  -1.514  -1.235
O  -0.566  3.351  3.679
O  -0.460  5.187  5.346
H  -2.017  -2.671  6.160
H  0.208  1.797  0.220
H  -1.601  0.385  5.597
O  -2.595  -1.316  -4.118
C  4.730  -3.446  -5.575
H  2.349  -0.255  -0.559
=====
Turkey has evolved into a shit hole Muslim country. Their roots run deep with wrestling. Way back to the Roman Coliseum Rock days. There’s a ton of move attributed to them. They teach it in their elementary schools through what’s equivalent to our high school. Just sayen, don’t under estimate them.
I bet Mr. Pinko never heard of these guys.
Where are all the new Master Sgt. Roddy Edmunds to stand up against this Islamic punk and declare, “We’re all Jews?”
“Izmir, Boris and Murad were Turkish Muslims”
I’m pretty sure, certain actually, they still are.
Oh, maybe they meant, we’re Turkish Muslims. Nah.
Once one, always one, is the general rule with few exceptions.
Who, btw, do not belong in our country.
They’re of no benefit, only trouble from what I’ve seen.
The “Diversity Demanders” should leave with them, and create diversity in their countries by their presence there.
God bless the man who stood for Jews, but he should have been prepared for anything.
I live 10 miles north of Cincinnati and I never heard a word about this. Darn but the left is good at suppressing news that doesn’t fit their agenda.
I remember when a (insert name of any religion of peace here) shot up a Jewish facility in Seattle after years ago, the Seattle police sent as many officers to protect mosques to protect against retribution as were sent to protect Jewish institutions.
@Bad_Brad March 31, 2018 at 9:24 pm
> Their roots run deep with wrestling. Way back to the Roman Coliseum Rock days. There’s a ton of move attributed to them. They teach it in their elementary schools through what’s equivalent to our high school. Just sayen, don’t under estimate them.
Too few people, these days, appreciate the artistry of the Turkey Slap.
I remember my time in Germany in the early 80s. The Germans had allowed a lot of Turks into the country as laborers. It was always best to stay away from them even then.
“Too few people, these days, appreciate the artistry of the Turkey Slap.”
I hope you have enough balls to confront one when you get the chance. The last thing you need to worry about is getting slapped.
Ahahahah…..good one. Which frickin anonymous are you?